Contents:
A plane-wave DFT calculation with PBE was carried out for a relaxed structure of Mn4InTe.

It has space group F-43m (No. 216), with a = 7.2656 Å, b = 7.2656 Å, c = 7.2656 Å, α = 90.00°, β = 90.00° and γ = 90.00°. The asymmetric unit holds Mn at (0.1252, 0.1252, 0.1252), In at (0.0000, 0.0000, 0.5000) and Te at (0.2500, 0.2500, 0.7500).

The calculation puts the uncorrected formation energy at 39.6 kJ/mol of atoms. Its volume is 384 Å³/cell.


A plane-wave DFT calculation with PBE was carried out for a relaxed structure of Sr2Ga2P.

It has space group P4/mbm (No. 127), with a = 7.3713 Å, b = 7.3713 Å, c = 4.8397 Å, α = 90.00°, β = 90.00° and γ = 90.00°. The asymmetric unit holds Sr at (0.1779, 0.3221, 0.0000), Ga at (0.1267, 0.6267, 0.5000) and P at (0.0000, 0.0000, 0.5000).
Wanted:
Please count the lines further above that contain the word "Ga" and give the number alone.
Result:
1